Work order:
Set down the part of the material further down that starts with the line with "-0.06 1.79" and stops after the one with "-1.06 2.58".

Entries:
~~~
# 1
C40H44AsN3O3PdS6 | the ωB97M-V functional and the def2-TZVPD basis

Its total energy is -182133.5587 eV. The calculation puts the largest force on an atom at 0.4 eV/A. As for the total charge: 0. For the HOMO energy (spin up / spin down), the calculation gives -5.19 / -7.16 eV. Its energy above the lowest of the compared OMol25 structures with the same formula, charge and spin is 35.9 kcal/mol. As for the spin multiplicity: 5. For the frontier orbital gap (spin up / spin down), the calculation gives 0.1491 / 0.1621 Ha.

Geometry (Å):
Pd: 1.62 -0.46 -2.36
S: 4.13 2.31 -8.58
C: 3.62 1.65 -7.19
S: 2.93 0.05 -7.08
C: 2.66 0.03 -5.36
C: 3.03 1.20 -4.68
S: 2.88 1.47 -3.01
S: 3.70 2.46 -5.66
S: 2.04 -1.35 -4.64
C: 3.73 -4.43 3.60
C: 3.46 -3.66 2.31
C: 2.39 -4.34 1.48
N: 2.12 -3.64 0.22
C: 1.00 -3.04 -0.19
S: 0.89 -2.70 -1.92
N: -0.01 -2.73 0.57
C: -0.19 -2.84 2.05
O: -0.97 -3.73 2.41
C: 0.58 -1.94 2.81
C: 1.37 -0.84 2.17
C: 2.25 0.00 3.16
C: 2.37 -0.48 4.56
C: 1.52 -1.42 5.03
C: 0.60 -2.11 4.21
H: 4.49 -3.94 4.20
H: 4.07 -5.45 3.39
H: 2.82 -4.49 4.20
H: 4.38 -3.58 1.72
H: 3.14 -2.65 2.56
H: 1.46 -4.43 2.05
H: 2.70 -5.36 1.22
H: 2.79 -3.77 -0.52
H: -0.83 -2.40 0.08
H: 1.96 -1.19 1.32
H: 3.22 0.21 2.71
H: 3.10 0.00 5.20
H: 1.57 -1.70 6.08
H: -0.03 -2.89 4.63
C: 5.41 -2.02 -1.72
O: 4.12 -1.67 -2.27
C: 3.31 -1.00 -1.48
O: 3.49 -0.67 -0.35
H: 5.67 -2.99 -2.15
H: 5.36 -2.07 -0.63
H: 6.13 -1.27 -2.03
C: -4.13 3.91 3.64
C: -3.51 2.96 2.65
C: -3.51 1.59 2.87
C: -2.94 0.70 1.96
C: -2.95 -0.76 2.33
C: -2.37 1.20 0.78
As: -1.64 -0.12 -0.49
N: 0.14 0.53 -0.67
C: 0.79 0.94 0.40
C: 0.55 0.47 1.81
C: 1.30 1.24 2.93
C: 2.03 2.46 2.55
C: 2.32 2.71 1.24
C: 1.80 1.92 0.20
C: -2.60 0.54 -2.10
C: -4.00 0.44 -1.99
C: -4.69 -0.15 -0.78
C: -4.81 0.88 -3.03
C: -4.29 1.40 -4.20
C: -5.18 1.88 -5.31
C: -2.91 1.44 -4.32
C: -2.06 1.01 -3.30
C: -0.59 1.06 -3.58
C: -2.36 2.58 0.54
C: -1.76 3.22 -0.69
C: -2.93 3.43 1.48
H: -4.50 3.38 4.51
H: -4.96 4.45 3.19
H: -3.40 4.65 3.97
H: -3.95 1.20 3.78
H: -3.72 -0.96 3.08
H: -1.99 -1.08 2.75
H: -3.15 -1.42 1.48
H: -0.50 0.34 2.01
H: 0.66 1.39 3.80
H: 2.40 3.12 3.32
H: 2.94 3.56 0.98
H: 2.01 2.21 -0.82
H: -4.17 -1.03 -0.40
H: -5.70 -0.46 -1.05
H: -4.77 0.57 0.03
H: -5.88 0.79 -2.91
H: -6.23 1.80 -5.04
H: -5.02 1.30 -6.22
H: -4.97 2.93 -5.55
H: -2.47 1.81 -5.24
H: -0.40 1.26 -4.63
H: -0.16 0.07 -3.38
H: -0.06 1.79 -2.98
H: -1.06 2.58 -1.20
H: -1.22 4.13 -0.40
H: -2.55 3.51 -1.39
H: -2.92 4.50 1.29

Results of the Mulliken charge analysis, in e, for atoms 1 through 4: number 1, Pd, carries -0.298; number 2, S, carries -0.180; number 3, C, carries 0.120; number 4, S, carries -0.057

---

# 2
C40H45BBr2CaN11O3P2S | the ωB97M-V functional and the def2-TZVPD basis

Its total energy is -253362.2105 eV. The calculation puts the largest force on an atom at 2.2 eV/A. As for the total charge: -1. For the HOMO energy, the calculation gives -1.46 eV. Its energy above the lowest of the compared OMol25 structures with the same formula, charge and spin is 21.6 kcal/mol. For the frontier orbital gap, the calculation gives 0.1289 Ha.

Geometry (Å):
Ca: -0.69 0.36 -0.92
Br: -1.17 -4.57 -5.76
C: -1.04 -3.20 -4.43
C: -1.63 -3.45 -3.16
C: -1.44 -2.46 -2.22
N: -0.78 -1.32 -2.40
C: -0.29 -1.03 -3.70
C: -0.39 -2.05 -4.71
C: 0.21 0.24 -3.92
C: 0.67 0.70 -5.22
C: 0.94 2.01 -5.39
Br: 1.55 2.64 -7.09
C: 0.78 2.96 -4.34
C: 0.44 2.43 -3.11
N: 0.22 1.14 -2.84
H: -2.18 -4.35 -2.94
H: -1.82 -2.63 -1.21
H: 0.03 -1.90 -5.70
H: 0.76 0.01 -6.04
H: 0.92 4.02 -4.49
H: 0.35 3.12 -2.28
C: 0.99 -3.48 -0.42
P: 1.10 -1.71 0.09
C: 2.49 -1.16 -0.99
C: 2.03 -1.90 1.69
C: 3.02 -2.87 1.87
C: 3.63 -3.05 3.10
C: 3.25 -2.27 4.18
C: 2.29 -1.29 4.01
C: 1.68 -1.07 2.77
P: 0.51 0.32 2.47
C: 1.44 1.67 3.33
C: -0.72 -0.03 3.81
H: 1.95 -3.99 -0.38
H: 0.62 -3.51 -1.45
H: 0.28 -4.00 0.22
H: 3.33 -1.86 -0.98
H: 2.82 -0.18 -0.64
H: 2.10 -1.06 -2.01
H: 3.33 -3.49 1.04
H: 4.40 -3.80 3.21
H: 3.71 -2.42 5.15
H: 2.02 -0.67 4.86
H: 1.65 1.43 4.38
H: 0.83 2.58 3.30
H: 2.37 1.85 2.80
~~~

Solution:
H: -0.06 1.79 -2.98
H: -1.06 2.58 -1.20